Tuesday, January 17, 2012

I recently received some very good advice from a friend of mine. He said that people didn't like being lectured at, that they wanted to be able to connect with my struggles. That people really wanted to know how I felt.

I've always had a hard time expressing myself, especially to others, partly because I've had trouble dealing with my own emotions a lot of the time. I've been through a lot of crap in my life - which is something pretty much anyone who's heard my life story can agree on - and eventually, to keep your sanity and to keep yourself moving, you stuff down all your emotions into a box in your mind (labeled "crap") and push it into the corner. I'm still learning how NOT to do that, since I don't have to be in survival mode anymore.

But also, partly because I'm afraid that I'll come off as a whiny little emo kid.

But if people really want to know about how I feel, I guess I can tell you.

Mostly, I feel angry. I mean, I'm not getting a fair deal because of something that's not my fault. It sucks.

I weird people out by being too open, because I have trouble knowing what to say or when to say it. Also because sometimes, it feels like it hurts to hold things in. Sometimes things want come out, and holding them in takes energy, as does waiting my turn. 

Usually, this is because I'm in ADD mode, where I constantly having to be doing SOMEthing. Moving around, drawing, knitting, talking. I can't sit still in those times.

Or I weird people out because they just don't understand that I only have a certain amount of energy I can spare for interacting with people. Any more than that, and I get cranky. Ilsa being cranky is not a fun thing.

But I digress. I thought about writing today because it occurred to me that I will probably always harbor a hatred for "the popular kids". The ones who have fine-tuned social skills.

The reason this occurred to me is that there is someone in my Anatomy & Physiology 1 class who has always seemed like one of the aforementioned "popular kids." And because of that, I hate him. I'm sure that deep down, he's a nice guy, but we've had several classes together and we've barely spoken. I can't help thinking I probably come off as too much of a dork. 

Whether or not this is true, I have no idea. I'm probably just projecting. But there are times, and other geeks might be able to back me up on this, that you get the feeling people look down their noses at you, just because you happen to like Doctor Who or anime or something. (I happen to like both, by the way.)

I had been hoping I was past my dweeby phase. Apparently not. Whenever I go into my A&P classroom, I feel like I'm back in High School for some reason.

High School was literally the worst time of my life. You couldn't pay me to go back to that hell. 

If the Zombie Apocalypse DOES happen in December, I hope I get a chance to snipe some of my reanimated classmates and the some of the faculty before I get bitten. Yes, even the administration at the time treated me like dirt. Fuck you, Newport High School.

It's lucky for them The Force isn't real, otherwise I might have turned into freaking Darth Vader.

In case anyone is worried, no, I'm not going to go shoot up a school. I do have a pretty strong conscience, and I also know that most of the people there didn't realize the effect they had on me, otherwise they might have been nicer. Besides, I have heard that non-assholes might be running the school soon.

Wednesday, January 4, 2012

Take Note

Take Note, by Ilsa Kasmar

If you think
I am only a word,
Or a collection of labels,
You're wrong.

If you think
I am only a number,
Or a blip on the radar,
You're wrong

They call it Asperger's Syndrome
But the truth is,
You don't know how to deal with me,
Do you?

I refuse to blend in with the crowd.

/*
<w>
Na2PbO | GGA-PBE | relaxed

The space group is Fm-3m (No. 225) and the conventional cell measures 6.982, 6.982 and 6.982 Å, with angles of 90.00, 90.00 and 90.00 degrees. The distinct sites, in fractional coordinates, are Na at (0.250, 0.250, 0.250), Pb at (0.000, 0.000, 0.000) and O at (0.000, 0.000, 0.500).

The density of states at the Fermi level is 0.6990 states/eV/atom. The calculation puts the total magnetization at 0.0 μB/cell.

<x>
Na2PbO | GGA-PBE | relaxed

The space group is I-42d (No. 122) and the conventional cell measures 8.049, 8.049 and 5.304 Å, with angles of 90.00, 90.00 and 90.00 degrees. The distinct sites, in fractional coordinates, are Na at (0.123, 0.250, 0.125), Pb at (0.000, 0.000, 0.500) and O at (0.000, 0.000, 0.000).

The density of states at the Fermi level is 0.1586 states/eV/atom. The calculation puts the total magnetization at 0.0 μB/cell.

Relative energies, in kJ/mol of atoms, with the most stable structure set to zero: <w> 54.7; <x> 0.0.

<w>
Na3PbO | GGA-PBE | relaxed

The space group is Pmn2_1 (No. 31) and the conventional cell measures 6.749, 6.160 and 5.665 Å, with angles of 90.00, 90.00 and 90.00 degrees. The distinct sites, in fractional coordinates, are Na at (0.000, 0.180, 0.000), Na at (0.243, 0.647, 0.062), Pb at (0.000, 0.826, 0.571) and O at (0.000, 0.510, 0.797).

The density of states at the Fermi level is 0.4423 states/eV/atom. The calculation puts the total magnetization at 0.0 μB/cell.

<x>
Na3PbO | GGA-PBE | relaxed

The space group is Pm-3m (No. 221) and the conventional cell measures 4.769, 4.769 and 4.769 Å, with angles of 90.00, 90.00 and 90.00 degrees. The distinct sites, in fractional coordinates, are Na at (0.000, 0.000, 0.500), Pb at (0.500, 0.500, 0.500) and O at (0.000, 0.000, 0.000).

The density of states at the Fermi level is 0.5465 states/eV/atom. The calculation puts the total magnetization at 0.0 μB/cell.

Relative energies, in kJ/mol of atoms, with the most stable structure set to zero: <w> 0.0; <x> 7.1.

<w>
Na5PbO4 | GGA-PBE | relaxed

The space group is Immm (No. 71) and the conventional cell measures 3.654, 6.436 and 13.177 Å, with angles of 90.00, 90.00 and 90.00 degrees. The distinct sites, in fractional coordinates, are Na at (0.000, 0.000, 0.000), Na at (0.000, 0.228, 0.327), Pb at (0.000, 0.500, 0.000), O at (0.000, 0.245, 0.500) and O at (0.000, 0.500, 0.192).

The density of states at the Fermi level is 0.2139 states/eV/atom. The calculation puts the total magnetization at 0.0 μB/cell.

<x>
Na5PbO4 | GGA-PBE | relaxed

The space group is Pmmn (No. 59, origin choice 2) and the conventional cell measures 7.498, 8.032 and 5.610 Å, with angles of 90.00, 90.00 and 90.00 degrees. The distinct sites, in fractional coordinates, are Na at (0.009, 0.058, 0.247), Na at (0.250, 0.750, 0.293), Pb at (0.250, 0.250, 0.712), O at (0.009, 0.250, 0.935) and O at (0.250, 0.005, 0.513).
*/
-- Back to the piece --

One day,
I'll burst from my chrysalis
With wings more colorful,
More beautiful,
Than the world has ever seen before.

So take note.
I am more than you think I am.